Angels on Earth
A month after my discovery I was still in a dark place because I was pretending all was well yet I was dying inside. He had been moved out almost a month and the truth of my life was overwhelming in my secret silence.
I had a girls cruise that had been planned a few years earlier and I wasn’t sure if I would be able to make it because of my new circumstances. I hadn’t told anyone the truth, other than a diluted version to some family, so I looked forward to going on the trip feeling “normal” again. These are women I have been friends with since I was 5 years old, see often, and some it had been years. We had all jokingly agreed to not lose weight and instead embrace our birthday milestone we were celebrating. But because I had lost SO much weight and was abnormally emotional my girlfriends confronted me with their concern one night. One of my greatest fears was getting cancer young like my mom and this was their conclusion. My response of the truth of the betrayal of a person they had come to love over the years I was married was heartbreaking. To say the truth out loud to those that love me unconditionally seemed surreal like it couldn’t possibly still be true! Like I was explaining a horrific movie but really I was describing my life. We cried until we thought there were no more tears to give.
**Records of crystals from another source follow**
┌──
Entry 1:
Compound: ScNbCd2W
Source: Alexandria
Functional: GGA-PBE
Structure: relaxed

Cell and atoms, written as extended XYZ:
```
5
Lattice="5.0309 0.0000 0.0000 0.0000 4.5849 0.0000 0.0000 0.0000 5.0309" Properties=species:S:1:pos:R:3 pbc="T T T"
Sc 0.0000 0.0000 0.0000
Nb 0.0000 2.2924 0.0000
W 2.5154 2.2924 2.5154
Cd 0.0000 0.0000 2.5154
Cd 2.5154 0.0000 0.0000
```

Summary:
density of states at the Fermi level	6.6	states/eV/f.u.
ΔE to the lowest computed polymorph	30	meV per atom
calculated total energy	-4.2368	eV per atom
energy of formation	2000	meV/atom

Entry 2:
Compound: ScNbCd2W
Source: Alexandria
Functional: GGA-PBE
Structure: relaxed

Cell and atoms, written as extended XYZ:
```
5
Lattice="-0.7682 4.3061 2.8121 -0.9112 -2.5545 3.6627 5.0368 0.0551 1.2915" Properties=species:S:1:pos:R:3 pbc="T T T"
Sc -0.4556 -1.2772 1.8314
Nb 0.0000 0.0000 0.0000
W 1.6787 0.9034 3.8832
Cd 2.5184 0.0275 0.6458
Cd -0.3841 2.1531 1.4061
```

Summary:
density of states at the Fermi level	8.6	states/eV/f.u.
ΔE to the lowest computed polymorph	0	meV per atom
calculated total energy	-4.2664	eV per atom
energy of formation	1970	meV/atom

Entry 3:
Compound: YSc2NbCd
Source: Alexandria
Functional: GGA-PBE
Structure: relaxed

Cell and atoms, written as extended XYZ:
```
5
Lattice="5.2157 0.0000 0.0000 0.0000 5.5429 0.0000 0.0000 0.0000 5.2157" Properties=species:S:1:pos:R:3 pbc="T T T"
Y 0.0000 2.7714 0.0000
Sc 0.0000 0.0000 2.6078
Sc 2.6078 0.0000 0.0000
Nb 2.6078 2.7714 2.6078
Cd 0.0000 0.0000 0.0000
```

Summary:
density of states at the Fermi level	10.2	states/eV/f.u.
calculated total energy	-5.0290	eV per atom
energy of formation	993	meV/atom

Entry 4:
Compound: Nb3CdSe
Source: Alexandria
Functional: GGA-PBE
Structure: relaxed

Cell and atoms, written as extended XYZ:
```
5
Lattice="4.7825 0.0000 0.0000 0.0000 4.7825 0.0000 0.0000 0.0000 4.7825" Properties=species:S:1:pos:R:3 pbc="T T T"
Nb 0.0000 2.3913 0.0000
Nb 0.0000 0.0000 2.3913
Nb 2.3913 0.0000 0.0000
Se 0.0000 0.0000 0.0000
Cd 2.3913 2.3913 2.3913
```

Summary:
density of states at the Fermi level	6.9	states/eV/f.u.
ΔE to the lowest computed polymorph	0	meV per atom
raw formation energy	0.593	eV/atom
calculated total energy	-6.3285	eV per atom

Entry 5:
Compound: NbCd3Se
Source: Alexandria
Functional: GGA-PBE
Structure: relaxed

Cell and atoms, written as extended XYZ:
```
5
Lattice="-1.7884 -2.6204 -4.1901 -3.2246 -2.7581 3.1011 -3.7451 3.6261 -0.6693" Properties=species:S:1:pos:R:3 pbc="T T T"
Nb -4.3791 -0.8762 -0.8791
Se 0.0000 0.0000 0.0000
Cd -1.6123 -1.3790 1.5506
Cd -1.8726 1.8130 -0.3346
Cd -0.8942 -1.3102 -2.0951
```

Summary:
density of states at the Fermi level	3.3	states/eV/f.u.
ΔE to the lowest computed polymorph	0	meV per atom
raw formation energy	1.027	eV/atom
calculated total energy	-2.2329	eV per atom

Entry 6:
Compound: NbCd3Se
Source: Alexandria
Functional: GGA-PBE
Structure: relaxed

Cell and atoms, written as extended XYZ:
```
5
└──
The next night after a moment of feeling the magnitude of all I had been carrying to be so strong I collapsed on the bed in fetal position and wept. I released all I held in and became lifeless. Slowly as tears streamed down my cheeks, eyes too swollen to see and my body to weak too move I felt warm loving hands touching my sore muscles. Then through sounds of their crying that broke the silence, more hands joined transferring spiritual strength that literally filled my broken body and soul. I could feel the love and protection of angels and from these amazing women. I will never forget this spiritual experience that was a springboard to get me home and have the courage to share my truth. I was more powerful because of their strength. They gave me this picture “She Will Find What is Lost” by Brian Kershisnik that hangs in my home as a reminder of that amazing experience.
These women have continued to be some of my angels on Earth. I can’t deny feeling like God had a hand in the timing of when this happened. Like He knew I needed these women at this exact time to share their life experiences with me as support. It’s events like this that create an unbreakable bond because through our vulnerability we each came home better friends, mothers, wives, sisters and women! We learned together that like the moon …We don’t have to be whole to shine.